# File
VASP calculation (PBE) on a geometry-optimized Tl12Hg6Te structure. Values from VASP.

Cell and atoms, written as Quantum ESPRESSO input:
```
&SYSTEM
  ibrav = 0, nat = 19, ntyp = 3
/
ATOMIC_SPECIES
Tl 204.38 Tl.upf
Hg 200.59 Hg.upf
Te 127.60 Te.upf
CELL_PARAMETERS angstrom
8.7547 -0.2545 -2.7526
-3.6798 7.9479 -2.7526
-0.1679 -0.2545 9.1757
ATOMIC_POSITIONS crystal
Tl 0.8775 0.1225 0.5000
Tl 0.3377 0.0890 0.3377
Tl 0.3377 0.3377 0.0890
Tl 0.9110 0.6623 0.6623
Tl 0.6623 0.6623 0.9110
Tl 0.6623 0.9110 0.6623
Tl 0.5000 0.8775 0.1225
Tl 0.1225 0.5000 0.8775
Tl 0.1225 0.8775 0.5000
Tl 0.5000 0.1225 0.8775
Tl 0.8775 0.5000 0.1225
Tl 0.0890 0.3377 0.3377
Hg 0.6965 0.3069 0.6965
Hg 0.6965 0.6965 0.3069
Hg 0.3069 0.6965 0.6965
Hg 0.3035 0.3035 0.6931
Hg 0.3035 0.6931 0.3035
Hg 0.6931 0.3035 0.3035
Te 0.0000 0.0000 0.0000
```

Summary:
Calculated density   10.18 g/cm³
V   617.4 Å³ per cell
SG   No. 166
Energy   -33.12 eV/f.u.

~~~~~

GdHgGe | Alexandria | GGA-PBE | relaxed; total magnetic moment = 7.10 μB/cell; ΔH_f (0 K) = -34.9 kJ/mol of atoms; crystal system = cubic; ρ = 9.24 g cm⁻³
1.0
4.7826 0.0000 0.0000
2.3913 4.1418 0.0000
2.3913 1.3806 3.9049
Ge Gd Hg
1 1 1
direct
0.2500 0.2500 0.2500
0.0000 0.0000 0.0000
0.5000 0.5000 0.5000
# Brief
Could you give back every line earlier on that contains the word "Alexandria"?
# Here it is
GdHgGe | Alexandria | GGA-PBE | relaxed; total magnetic moment = 7.10 μB/cell; ΔH_f (0 K) = -34.9 kJ/mol of atoms; crystal system = cubic; ρ = 9.24 g cm⁻³